I, Nicole M. Thompson, President and founder of HSS, Inc., housing and supportive services continuing the legacy of my father Mr. Gerald E. Thompson who in May 1989 got sober and founded of BOS, alcohol, tobacco and other illegal drugs and substance abuse program for men, women and women with children and single male parents, in 2000 after so many foster care TAY were emancipating or aging out he founded the Pathways To Your Future (PTYF) and The Frontline Soldiers housing program and in 2018 founded CERC, a un-housed home housing management company. My father is passing the torch to me after being on the frontline for more than thirty-three years. HSS, Inc. was founded based on my father’s core foundation he built will continue providing comprehensive health, education, and human supportive services to the most subpopulations un-housed underserved individuals, youth, and families while promoting their development and enriching the communities where we both were born and raised – Los Angeles, California.
Helping others part of my lineage, passed down from my grandmothers. My father’s mother was a nurse in the Army of World War II and after a honorable discharge attended and graduated from The University of Southern California (USC) in 1957, and my mother’s mom was on the Los Angeles School Board and a foster parent.
Looking ahead, we plan to expand our outreach efforts and strengthen our partnerships with local service providers to continue making a tangible difference in our communities.
HSS, Inc. Transitional Housing Services has successfully facilitated temporary housing solutions for individuals
and families undergoing life changes. Over the past quarter, we secured safe, stable housing for over 75
residents a month providing critical support during their transition periods. Our program has also expanded its mental health and substance abuse counseling services, resulting in a 30% increase in resident self-sufficiency rates.
Looking ahead, we aim to further develop our partnerships with local employers and educational institutions to better assist residents in achieving long-term stability and independence.
Bringing the “NEIGHBOR” back to the “NEIGHBORHOODS” ©
A little over 50 years ago, our communities were called “Neighborhoods”. There was a sense of community and a fostering of well-being among the neighbors. It was the men who would stand up and fight to protect their family and neighborhood from outside violence. It was the men who confronted any and all negative forces that could bring harm to his neighborhood but without our women the struggle would have failed. The women, the very soul of the neighborhood who would make sure the children were educated, involved with community and church. The neighborhoods were diverse before “diverse” meant anything: consisting of families of all races, creeds, and colors. In the neighborhood there were traditional households consisting of a father, mother, children, and often there was the extended family of grandparents, aunts, uncles, and cousins under one roof. There was an instinctual relationship amongst the parents and children in the neighborhood, born from the concept and culture; “It Takes A Village to Raise A Family” and that “Together We Stand Divided We Fall:
Even though today’s family structure and dynamics have changed greatly from the past, there is still a need and desire to nurture and protect our children and neighbors. Today, our communities that were once called “Neighborhood” are now being called “Hoods”. The “Hood” is turf and trespassing without commitment, without the elders influence. The “Hood” is transient and disposable.
In order to bring about some form of rejuvenation or rebirth to our communities, we must address the “personalization” of those living in what have been called the “Hood” … it’s about “bringing the neighbor back to the neighborhood”.
What comes next are data records, not part of the entry:
____________
First-principles (PBE-GGA) data for Ca8Mn3N8 after structural relaxation, as listed in the Materials Project database.

The structure belongs to space group C2/m (No. 12); the cell edges are 17.813, 5.001 and 7.150 Å and the angles 90.00°, 105.97° and 90.00°. The inequivalent atoms are Ca at (0.028, 0.000, 0.260), Ca at (0.098, 0.500, 0.958), Ca at (0.167, 0.500, 0.473), Ca at (0.199, 0.000, 0.805), Mn at (0.000, 0.500, 0.500), Mn at (0.187, 0.000, 0.205), N at (0.026, 0.500, 0.284), N at (0.102, 0.000, 0.003), N at (0.176, 0.000, 0.439) and N at (0.219, 0.500, 0.829).

The uncorrected energy comes out at -0.4865 Ry/atom. For the calculated density, the calculation gives 3.24 g cm⁻³. The calculation puts the calculated formation energy at -970 meV per atom.
____________
The data records stop here:
Housing and Supportive Services Inc. (HSS, INC.) is here today to bring the “Neighbor” back to the “Neighborhood”
The HSS, INC. Housing and Supportive Services Board of Trustees:
Nicole M. Thompson
Tyran Crudup, of At The Foundation Transitional Living Management Supervisor/Program Case Manager
Wenceslao J. Martinez
Crisis Housing Program Manager